**Work order**
Search the calculation results further down for the word "polymorph" and transcribe each line that has it, please.

**Given**
____________
Entry 1:
The following is a PBE calculation of a geometry-optimized NdScS3 structure, from the Materials Project database.

Computed properties:
energy of formation = -2302 meV per atom

The structure in CIF format:
```
data_NdScS3
_chemical_formula_sum 'Nd4 Sc4 S12'
_symmetry_space_group_name_H-M 'P n m a'
_symmetry_Int_Tables_number 62
_symmetry_space_group_name_Hall '-P 2ac 2n'
_cell_length_a 7.1701
_cell_length_b 9.6094
_cell_length_c 6.5155
_cell_angle_alpha 90.00
_cell_angle_beta 90.00
_cell_angle_gamma 90.00
loop_
_atom_site_label
_atom_site_fract_x
_atom_site_fract_y
_atom_site_fract_z
Nd1 0.0974 0.2500 0.0379
Sc1 0.0000 0.0000 0.5000
S1 0.0373 0.7500 0.3713
S2 0.1884 0.5625 0.8218
```

Entry 2:
The following is a PBE calculation of a geometry-optimized RbAgBr3 structure, from the Materials Project database.

Computed properties:
energy of formation = -1211 meV per atom

The structure in CIF format:
```
data_RbAgBr3
_chemical_formula_sum 'Rb2 Ag2 Br6'
_symmetry_space_group_name_H-M 'C 1 m 1'
_symmetry_Int_Tables_number 8
_symmetry_space_group_name_Hall 'C -2y'
_cell_length_a 7.7028
_cell_length_b 7.7031
_cell_length_c 5.4472
_cell_angle_alpha 90.00
_cell_angle_beta 90.18
_cell_angle_gamma 90.00
loop_
_atom_site_label
_atom_site_fract_x
_atom_site_fract_y
_atom_site_fract_z
Rb1 0.0000 0.0000 0.0000
Ag1 0.0039 0.5000 0.5132
Br1 0.2542 0.2533 0.5113
Br2 0.4954 0.0000 0.0128
```

Entry 3:
The following is a PBE calculation of a geometry-optimized Sr8Pr4Cu9Hg3O24 structure, from the Materials Project database.

Computed properties:
energy of formation = -2161 meV per atom

The structure in CIF format:
```
data_Sr8Pr4Cu9Hg3O24
_chemical_formula_sum 'Sr16 Pr8 Cu18 Hg6 O48'
_symmetry_space_group_name_H-M 'C 1 2/m 1'
_symmetry_Int_Tables_number 12
_symmetry_space_group_name_Hall '-C 2y'
_cell_length_a 15.6449
_cell_length_b 7.8250
_cell_length_c 12.9346
_cell_angle_alpha 90.00
_cell_angle_beta 107.58
_cell_angle_gamma 90.00
loop_
_atom_site_label
_atom_site_fract_x
_atom_site_fract_y
_atom_site_fract_z
Sr1 0.0662 0.2437 0.2781
Sr2 0.1772 0.2437 0.7219
Pr1 0.0000 0.2510 0.0000
Pr2 0.2500 0.2500 0.0000
Cu1 0.0000 0.0000 0.5000
Cu2 0.0912 0.5000 0.8651
Cu3 0.0918 0.0000 0.8673
Cu4 0.1584 0.5000 0.1363
Cu5 0.1598 0.0000 0.1364
Hg1 0.0000 0.5000 0.5000
Hg2 0.2489 0.0000 0.5001
O1 0.0318 0.5000 0.1291
O2 0.0327 0.0000 0.1308
O3 0.0374 0.0000 0.6495
O4 0.0412 0.5000 0.6648
O5 0.0924 0.2491 0.8695
O6 0.1573 0.2505 0.1294
O7 0.2085 0.5000 0.3355
O8 0.2092 0.0000 0.3356
O9 0.2172 0.0000 0.8692
O10 0.2173 0.5000 0.8709
```

Entry 4:
The following is a PBE calculation of a geometry-optimized RbPH2O4 structure, from the Materials Project database.

Computed properties:
maximum piezoelectric response = 0.151 C/m2
energy above the most stable polymorph in this dataset = 0 meV per atom
energy of formation = -2189 meV per atom

The structure in CIF format:
```
data_RbPH2O4
_chemical_formula_sum 'Rb8 P8 H16 O32'
_symmetry_space_group_name_H-M 'F d d 2'
_symmetry_Int_Tables_number 43
_symmetry_space_group_name_Hall 'F 2 -2d'
_cell_length_a 10.9549
_cell_length_b 11.0809
_cell_length_c 7.3683
_cell_angle_alpha 90.00
_cell_angle_beta 90.00
_cell_angle_gamma 90.00
loop_
_atom_site_label
_atom_site_fract_x
_atom_site_fract_y
_atom_site_fract_z
Rb1 0.0000 0.0000 0.0000
P1 0.0000 0.0000 0.4828
H1 0.0444 0.1770 0.6154
O1 0.0254 0.3883 0.1139
O2 0.1153 0.0244 0.3716
```

Entry 5:
The following is a PBE calculation of a geometry-optimized Bi8Te7 structure, from the Materials Project database.

Computed properties:
energy of formation = -378 meV per atom

The structure in CIF format:
```
data_Bi8Te7
_chemical_formula_sum 'Bi24 Te21'
_symmetry_space_group_name_H-M 'P -3 m 1'
_symmetry_Int_Tables_number 164
_symmetry_space_group_name_Hall '-P 3 2"'
_cell_length_a 4.5016
_cell_length_b 4.5016
_cell_length_c 92.5533
_cell_angle_alpha 90.00
_cell_angle_beta 90.00
_cell_angle_gamma 120.00
loop_
_atom_site_label
_atom_site_fract_x
_atom_site_fract_y
____________

**Response**
energy above the most stable polymorph in this dataset = 0 meV per atom